Interim Moderator Rev. Robert Shaw B.A., M.Div.
March 10, 2019



Call to Worship
One: For some of us, it was tempting to “sleep in” this morning.
All: But God has called us to this place, to hear God’s word, to open our hearts in prayer and praise, and to seek direction for our lives.
One: There are many temptations placed in front of us. We are called to be strong and place our trust in God.
All: God is always faithful to us, comforting, guiding, lifting us.

Hymn # 814 “Morning has broken”

Prayer of Approach

Responsive Reading

_Someone pasted calculated molecules at this point_
┌──
Record 1
The following is a quantum chemistry calculation of a structure of composition C28H19N3O7Re, from OMol25.

```
! wB97M-V def2-TZVPD RIJCOSX def2/J DEFGRID3
* xyz 2 2
Re -0.6378 0.4688 -0.0023
C -4.0023 -2.3824 -0.5030
O -4.5232 -1.0469 -0.4454
C -3.5199 -0.2416 -0.2596
N -2.3265 -0.7712 -0.1416
C -2.5006 -2.2254 -0.1395
C -1.5578 -3.0110 -1.0270
C -0.6894 -2.4149 -1.9372
C 0.2393 -3.1830 -2.6245
C 0.2891 -4.5550 -2.4270
C -0.5921 -5.1571 -1.5392
C -1.5204 -4.3939 -0.8552
C -3.6101 1.2004 -0.1424
C -4.7608 1.9822 -0.1327
C -4.6257 3.3617 0.0008
C -3.3566 3.9188 0.1338
C -2.2558 3.0681 0.1406
N -2.3729 1.7282 -0.0022
C -0.8571 3.4292 0.2618
N 0.0166 2.4594 0.1409
C 1.3452 3.0757 0.1473
C 1.0279 4.5474 0.5277
O -0.4028 4.6312 0.4588
C 2.3816 2.4116 1.0291
C 2.0777 1.3980 1.9337
C 3.0921 0.7420 2.6158
C 4.4141 1.1130 2.4200
C 4.7196 2.1408 1.5380
C 3.7102 2.7967 0.8578
H -4.1462 -2.7652 -1.5179
H -4.5752 -3.0018 0.1890
H -2.3114 -2.5550 0.8933
H -0.7392 -1.3446 -2.1328
H 0.9143 -2.7191 -3.3254
H 1.0114 -5.1532 -2.9600
H -0.5505 -6.2208 -1.3610
H -2.2128 -4.8696 -0.1782
H -5.7302 1.5120 -0.2233
H -5.5005 3.9956 0.0020
H -3.2113 4.9862 0.2268
H 1.7186 3.0101 -0.8858
H 1.4469 5.2930 -0.1500
H 1.3385 4.7875 1.5492
H 1.0429 1.1196 2.1290
H 2.8556 -0.0468 3.3114
H 5.2038 0.6035 2.9493
H 5.7454 2.4254 1.3610
H 3.9525 3.6040 0.1841
O 4.4755 -3.2442 -0.0113
C 3.5206 -2.5508 -0.0109
C 2.0912 -2.9464 0.4854
O 1.7718 -4.0394 0.8404
C 1.3115 -1.7057 0.3396
C 2.0338 -0.7097 -0.3574
O 1.3655 0.3239 -0.6917
C 3.4549 -1.0679 -0.5051
O 4.3956 -0.4257 -0.8586
O 0.1235 -1.3883 0.6793
*
```

## Properties
E = -1846.9800 a.u.
E_HOMO (alpha / beta) = -14.25 / -14.35 eV

***

Record 2
The following is a quantum chemistry calculation of a cluster of 2 separate species, C2H7NO3 in total, from OMol25.

```
! wB97M-V def2-TZVPD RIJCOSX def2/J DEFGRID3
* xyz 0 1
O 2.1662 -1.7108 1.0593
C 1.2718 -2.5317 1.2606
O 0.1188 -2.4705 0.4659
H 1.3691 -3.5259 2.0173
H 0.2905 -1.7628 -0.1297
N -0.5175 1.6053 -1.6677
C -0.3569 1.7262 -0.2263
O -0.9039 0.5164 0.3088
H -1.0555 0.6978 -1.9342
H -0.6846 2.4715 -2.3056
H -0.8049 2.6103 0.1365
H 0.6971 1.6629 0.0836
H -1.5904 0.7112 0.9314
*
```

## Properties
structure (SMILES) = O=CO.NCO
energy relative to the best compared isomer or geometry (same formula, charge and spin) = 2.277 eV
E = -360.8300 a.u.
E_HOMO = -9.02 eV

***

Respective max |F| values: 0.0295 0.0737 hartree/bohr.
└──

Psalm 91: 1-2, 9-16 L # 424 C # 480


Children’s Time

18
Properties=species:S:1:pos:R:3 method="wB97M-V/def2-TZVPD" largest_force_ev_per_a=4.5 e_homo_ev=-3.7 total_energy_ha=-347.52972 e_above_lowest_kj_mol=314.9 mol_weight_g_mol=103.14 total_charge=-1
C 0.80 0.11 0.60
O 0.89 -0.19 2.00
C -0.37 -0.58 -0.08
C -0.28 -0.19 -1.57
C -1.41 -0.71 -2.42
C -2.06 -0.02 -3.45
H 1.68 -0.24 0.13
H 0.80 1.24 0.56
H -0.36 -1.75 0.07
H -1.34 -0.42 0.47
H 0.62 -0.71 -2.05
H -0.19 0.95 -1.77
H -1.85 -1.69 -2.19
H -1.92 1.12 -3.40
H -2.89 -0.51 -3.90
H 1.40 1.16 4.59
H 1.38 0.48 2.84
O 1.94 1.27 3.77

Hymn # 461 “Be thou my vision”

Our Morning Prayer – Lord’s Prayer (trespasses)

Words of Assurance

We Bring Our Gifts to God: “An acceptable sacrifice, pleasing God”
Philippians 4:18

Doxology “Praise God, from whom all blessings flow”

Offertory Prayer


Deuteronomy 26:1-11 L # 143 C # 159
Luke 4:1-13 L # 727 C # 834
Romans 10: 8b – 13 L # 802 C # 918

Hymn # 471 “We are one in the Spirit”

Between two parts of the entry: molecular data:
{
  "formula": "C20H23N3O",
  "method": "wB97M-V/def2-TZVPD",
  "species": ["C", "N", "C", "C", "C", "C", "O", "C", "C", "C", "C", "N", "C", "C", "N", "C", "C", "C", "C", "C", "C", "C", "C", "C", "H", "H", "H", "H", "H", "H", "H", "H", "H", "H", "H", "H", "H", "H", "H", "H", "H", "H", "H", "H", "H", "H", "H"],
  "coordinates": [[2.0971, -0.7321, 2.5197], [0.8318, -0.3891, 3.2205], [0.6876, -0.9017, 4.5822], [-0.1768, 0.3630, 2.6220], [-0.6534, 0.2372, 1.3270], [-0.2125, -0.8660, 0.4473], [-0.0120, -1.9997, 0.8960], [-0.1005, -0.6410, -0.9656], [0.8904, -1.2586, -1.7083], [0.9595, -0.9422, -3.0134], [0.0694, 0.0372, -3.5841], [0.1565, 0.3595, -4.9678], [-0.7124, 1.4052, -5.5493], [1.0577, -0.3975, -5.8384], [-0.8287, 0.6260, -2.8447], [-0.9314, 0.2953, -1.5745], [-2.0517, 0.8844, -0.7754], [-1.6181, 1.2460, 0.6838], [-2.8556, 1.3983, 1.5600], [-3.3757, 2.6986, 1.7900], [-4.5478, 2.9166, 2.5687], [-5.1349, 1.7886, 3.1879], [-4.6479, 0.5006, 2.9676], [-3.5229, 0.3200, 2.1679], [2.9593, -0.5947, 3.2005], [2.2545, -0.1292, 1.6073], [2.0846, -1.7617, 2.1835], [1.3173, -0.2746, 5.2219], [0.9646, -1.9481, 4.6334], [-0.3555, -0.8257, 4.8916], [-0.5631, 1.2327, 3.1703], [1.6184, -1.8739, -1.2092], [1.7493, -1.4188, -3.5676], [-0.6368, 2.3862, -5.1038], [-0.4576, 1.5132, -6.6066], [-1.7547, 1.0772, -5.4589], [0.8491, -0.1639, -6.8596], [0.9563, -1.4398, -5.6679], [2.1028, -0.1211, -5.6210], [-2.8580, 0.1471, -0.7900], [-2.4508, 1.8030, -1.2708], [-1.0682, 2.1899, 0.5915], [-2.8993, 3.5281, 1.2841], [-4.9923, 3.8692, 2.6693], [-6.0675, 1.9170, 3.7644], [-5.1889, -0.3210, 3.3761], [-3.1091, -0.6902, 1.9726]],
  "forces_ev_per_a": [[-0.7, 0.2, 0.3], [0.4, 0.3, -1.0], [0.0, 1.2, -0.6], [-0.2, -0.3, -1.8], [0.9, 0.1, 0.8], [-0.5, -1.6, 1.9], [0.4, 0.6, -0.1], [-0.4, 1.2, -0.3], [-0.4, 0.4, 0.6], [0.4, 0.4, -1.7], [1.6, -1.1, -2.1], [-0.3, 0.2, 1.5], [-0.1, -1.2, 0.0], [0.4, 1.4, 1.3], [-0.9, 0.9, -0.7], [0.2, -0.2, 0.7], [0.0, 0.7, 0.2], [0.0, -0.5, 0.2], [-0.8, 1.5, 0.8], [-0.9, -0.6, 0.2], [1.3, -2.6, -0.3], [-0.5, 0.8, -0.4], [0.5, 1.1, -0.5], [0.8, -0.6, -0.6], [-0.5, 0.1, -0.2], [-0.3, 0.0, 0.6], [0.0, -0.4, 0.0], [0.0, -0.4, 0.5], [0.2, -0.2, 0.0], [0.1, 0.1, 0.0], [-0.2, -0.5, 0.4], [0.0, -0.4, -0.1], [0.0, 0.2, -0.5], [0.3, 0.1, 0.5], [-0.1, -0.1, 0.2], [0.1, 0.2, -0.1], [-0.2, 0.1, -0.6], [-0.2, -1.1, 0.0], [-0.1, -0.1, -0.2], [-0.1, 0.0, 0.3], [0.4, -0.7, 0.3], [-0.4, 0.1, 0.2], [0.0, 0.1, 0.1], [-0.2, 0.9, 0.1], [0.6, 0.0, -0.2], [-0.1, -0.6, 0.3], [-0.4, 0.6, 0.3]],
  "nbo_charge": [-0.405, -0.444, -0.397, 0.105, -0.189, 0.524, -0.579, -0.274, -0.096, -0.328, 0.429, -0.417, -0.398, -0.396, -0.524, 0.364, -0.447, -0.250, -0.026, -0.206, -0.213, -0.213, -0.237, -0.155, 0.192, 0.208, 0.206, 0.184, 0.204, 0.211, 0.186, 0.230, 0.216, 0.206, 0.197, 0.203, 0.208, 0.199, 0.188, 0.226, 0.235, 0.219, 0.205, 0.213, 0.210, 0.215, 0.214],
  "spin_multiplicity": 1,
  "charge": 0,
  "fmax_ev_per_a": 2.95,
  "molar_mass_g_mol": 321.42,
  "orbital_gap_ev": 8.00,
The molecular data stop here:


Closing Prayer and Prayer for the People

Hymn # 410 “Joyful, joyful we adore you”

The Benediction and God’s Blessing

Choral Response “Go Now in Peace” (Inside back cover of Hymn Book)


THANK YOU to Mr. Doug Gillard for leading our service today.

UPCOMING SERVICES: Mr. Doug Gillard will be our pulpit supply for March 17, 24 and 31 as well as April 4 & 14. Rev. Shaw will be with us on Good Friday and Easter Sunday.

OUR SYMPAYHY: Is extended to the friends and family of Tina Weits who passed away on Saturday March 2.

CONGRATULATIONS: We have 2 new babies as part of our church family. Carol (McMillan) and Michael Ganhadeiro welcomed Caleb Michael into the world on February 21st. Grandparents are Kevin and Janith McMillan. Brittany (Bint) and Dane Freeman have added their third son Dax Emmett on February 25th Grandparents are Sandra and Paul Whittman, Great Grandma Ella McWilliam.

LARGIE WMS & LADIES AID: Will meet on Monday March 11th at 8:00pm.The topic is “World Day of Prayer”. The roll call is “A Sentence Prayer”. The committee is Lynd Drummelsmith and Jackie Leitch. Lunch committee is Ella McWilliam and Janith McMillan.

CRINAN WMS & LADIES AID BAKELESS BAKE SALE: The Crinan WMS & Ladies Aid are holding a Bakeless Bake Sale through March until April 28th. Donations will be received by Laura Kieraszewicz.

QUIZ NIGHT AT THE CRINAN COMMUNITY CENTRE: A Quiz Night will be held at the Crinan Community Centre on April 5th at 7:00pm. Cost is $100.00 for a team of 4-6 people. Prizes and snacks will be provided. Proceeds will go to Hall Improvements. Call Rob Tail at 519-318-2773 to register your team.

TUPPERWARE FUNDRAISER: The Largie Sunday School is hosting a Tupper Fundraiser. This is a different type of Tupperware event where there is no specific party but a special book with some great offers. Some items are only offered in this special book. 40% of the purchase cost goes to the Church.
Books are available from any Sunday School teacher and your support is appreciated. Orders will be taken until April 26 with delivery in early May.

LAST CHANCE FOR TICKETS FOR A NIGHT IN SCOTLAND: This event will be held on Saturday March 16th at 7:00pm at WEDS. The evening includes pipes and drums, dancers a story teller and Scottish snacks. New this year is Scottish entertainer, Bob Finlay. Tickets are $25.00 and can be purchased from Ron or Barb Ross.

VISITATION REQUESTS: If anyone would like a Pastoral visit from Wilma Boyce, please contact the session clerks or Wilma herself at 226-504-3224.